Organisational change: how to tell your team?

There is no doubt that being a leader is hard! Every once in a while you will have to tell your team some news that will be hard to hear. It doesn’t matter if your business is doing well or not, structural and organisational change is to be expected, and policy changes, reorganisations or acquisitions can have a huge impact on people’s jobs which in turn creates feeling of fear, sadness and anger among employees. Announcements like these can be alarming and can go wrong if they are not properly planned or are poorly delivered. If, however, a leader works on the following key elements, they can be prepared to give the news in ways that will help their team to adjust to the changes as fast as possible.

Plan more time to prepare the content, delivery and follow up – You should plan to hold more than just one initial “all hands” meeting. You should also hold a number of smaller team and one to one conversation as follow ups. It is also important to go to extra effort to make sure you coordinate announcements so that nobody is taken by surprise if the news is announced at different times by individual managers etc. This will save a lot of time and effort down the road. Giving employees a number of different opportunities to absorb and process the news is crucial for complete understanding. Getting information in the right order form the right people is incredibly important in relation to credibility.

Ensure all levels of management can explain the content – Training should be provided to everyone who will need to communicate the message, this could be in the form of rehearsal or role play. You should not assume that everyone has the right instincts. It is possible that to avoid being uncomfortable themselves, they may dump the news or possibly blame management whether this be directly or indirectly.

Explain what is wrong in the organisation and how this change will fix it – Instead of just dropping a disruptive change on employees, you should give them some background relating to what is not working in the organisation and how this new plan is the best way to fix the problem. Emphasise how the business is currently acquiring extra expenses, customers are being negatively affected etc and how this new plan will help to fix these issues.

Personalise the impact and resolution – If you avoid doing this, employees may be confused as to what specifically applies to them or how the organisation is going to help them to cope with the changes. There are a number of different ways to do this, for example when holding small group or one to one meeting, make sure you come prepared with all the details which will allow you to answer personal questions there and then. This will avoid creating more aggravation and anxiety.

Give those impacted as many options as you can – Employees will feel more respected and have more pride and autonomy when they are given choices and all the information required to help them make a decision. It is more likely that employees will come up with more practical ideas the closer they are to the work. It is also important to make sure you don’t assume you know what is best for each individual employee, or what each employee might choose.

Show humility and responsibility – Often, leaders think that they will get a “get out of jail free card” for disrupting peoples lives if they say they are struggling with the disruption themselves. Treating the issue like a shared responsibility can easily backfire and employees can end up feeling manipulated. Instead, in order to show that you are taking the situation very seriously, leaders should say things like “I’m sorry I didn’t anticipate…”.

(Here the text breaks off for data records)
=====
Below is 11 unconnected molecules or ions with the total composition C30H79NO26S8, with properties calculated with ωB97M-V with the def2-TZVPD basis set.

Results
- net charge = 0
- LUMO energy (eV) = 0.062
- highest occupied orbital energy (eV) = -10.016
- HOMO-LUMO gap (eV) = 10.1
- SMILES = CCOS(C)(=O)=O.CCOS(C)(=O)=O.CCOS(C)(=O)=O.CCOS(C)(=O)=O.CCOS(C)(=O)=O.CCOS(C)(=O)=O.CCOS(C)(=O)=O.CCOS(C)(=O)=O.CC#N.CCO.CCO
- maximum force (eV/A) = 2.67

Last column: Löwdin charge in e.
Atoms and positions in Å:
H: 3.89313 2.09886 3.79940  0.04
O: 0.17115 -1.52611 -0.31847  -0.11
H: -5.03333 4.64924 2.85967  0.08
O: 2.24565 5.81002 -1.92210  -0.27
H: -0.51218 0.42360 -0.01467  0.09
H: -2.76751 -7.13950 -3.02635  0.09
C: -0.04370 -0.19891 7.97367  -0.10
C: -2.92857 -0.98413 2.30622  -0.07
H: -0.92102 -0.86656 -6.39204  0.09
O: 0.78144 -2.35813 9.25781  -0.28
H: -2.41583 -7.50161 -1.28724  0.07
H: -3.71585 6.64869 -1.94164  0.07
O: -2.30457 4.11185 0.64049  -0.30
H: -2.03865 7.13752 -1.87808  0.08
H: 3.27626 2.93332 1.25736  0.10
H: 1.38065 -0.32959 1.56230  0.07
H: -0.80533 0.12849 8.67881  0.07
C: 3.51472 4.58725 2.57577  -0.04
H: -2.12967 0.22073 -1.54239  0.05
H: -3.79476 -8.20574 -2.11331  0.08
C: 3.08378 -1.61640 -2.44858  -0.28
H: 5.45452 1.72492 4.37498  0.08
H: -0.32500 0.11045 6.96892  0.06
H: 0.93116 0.19282 8.25214  0.07
C: 3.28065 -2.88217 -3.21113  -0.05
H: 0.60982 2.31876 -2.21667  0.05
C: -0.04468 -2.42430 5.54419  -0.27
S: 0.98027 -5.79566 -1.54330  0.62
C: 0.53617 -9.56626 -0.51239  -0.07
H: -0.48746 3.06048 2.17904  0.07
H: -5.64971 -3.64999 -3.11904  0.07
C: -3.18705 -7.30526 -2.03388  -0.05
O: 5.05385 1.50736 -3.50826  -0.26
S: -3.75664 4.81007 0.89418  0.62
H: 4.60116 3.88104 0.75349  0.11
H: -0.39277 -3.43955 5.35906  0.12
O: 0.74912 -2.44583 6.74760  -0.26
H: 4.15298 6.96714 0.34347  0.06
S: -0.02074 -2.01116 8.10329  0.63
O: 2.33629 -5.54209 -1.11861  -0.28
H: -3.57083 3.58439 2.92467  0.04
O: 4.18042 4.17073 -1.66605  -0.29
H: 1.03688 -9.60464 0.45711  0.08
H: -0.53277 -1.69763 -0.95704  0.01
H: 3.26785 -2.62000 -4.27061  0.08
C: 3.59366 3.97376 1.15826  -0.25
H: -4.48972 -6.27946 -0.64814  0.12
H: 0.68648 -10.48403 -1.07426  0.08
H: 5.43767 5.98792 -0.50246  0.07
O: 2.72217 4.69127 0.26852  -0.29
C: 1.04636 -8.39473 -1.28848  -0.32
H: -3.26852 4.62660 -3.11664  0.13
H: -0.50961 -9.37299 -0.26300  0.07
H: -3.93424 -1.21012 1.96138  0.06
H: 4.11794 0.64916 4.80850  0.07
H: 2.14557 -1.13508 -2.73504  0.09
H: -4.56274 1.40087 -0.06053  0.11
O: 2.82639 1.28557 -2.32268  -0.31
O: -2.69250 1.07296 0.75197  -0.29
H: 2.43652 -3.53816 -2.99868  0.06
C: -4.65917 -3.23123 -2.96250  -0.10
H: -0.90584 3.02466 -1.46088  0.05
O: -5.11831 -3.78803 -0.37010  -0.28
O: -1.38895 -2.50339 8.02422  -0.30
H: 4.19809 -3.41541 -2.96959  0.09
H: 1.70958 -2.64364 4.36258  0.08
C: -0.86405 -0.93961 -4.27338  -0.22
S: -3.00852 0.86248 2.33918  0.64
H: -4.63307 -2.16845 -3.19608  0.06
H: 0.66422 3.98695 -1.66410  0.05
H: 4.45320 7.27870 -1.33921  0.07
=====

This type of planned approach will help you get the most out of the organisations good new. It is important to understand that everyone won’t see this as being good news for them personally.  It can feel like a waste of time having to plan and work through every detail with your employees, however in the long run it will make the transition smoother and employees will be better prepared. For more information on our leadership coaching click here or email

== Someone pasted data records at this point ==
<<<
Computed, not measured: a cluster of 4 separate species, C28H56N3O12Si in total in a non-equilibrium geometry, with ωB97M-V/def2-TZVPD.

Each line ends with the Löwdin charge.
Element x y z (Å)
C 3.741 0.093 2.316  -0.0724
C 4.838 -0.050 1.269  -0.4031
C 5.144 -1.537 0.987  -0.0640
C 4.587 0.791 0.014  -0.1554
C 3.162 0.789 -0.546  -0.3281
C 2.779 -0.615 -1.022  -0.0369
C 3.101 1.812 -1.696  -0.1096
O 2.137 2.863 -1.487  0.0081
N 0.858 2.418 -1.393  -0.0508
C -0.055 2.989 -0.542  0.0866
C -1.244 2.322 -0.718  -0.1403
C -2.536 2.617 -0.045  -0.0800
C -2.882 1.748 1.150  -0.2465
O -2.965 0.373 0.822  -0.2125
Si -2.228 -0.678 1.909  0.4380
C -2.157 -2.342 1.039  -0.1384
C -0.468 -0.161 2.333  -0.1513
C -3.237 -0.845 3.472  -0.1360
N -1.013 1.349 -1.695  0.0695
C -1.996 0.411 -2.245  0.0111
C -1.501 -0.312 -3.481  -0.4657
O -2.109 -0.187 -4.501  0.1526
N -0.326 -1.047 -3.358  -0.1813
C -0.467 -2.261 -2.531  -0.0256
C 0.351 -1.279 -4.638  -0.0464
C 0.266 1.448 -2.081  0.0162
H 3.960 -0.579 3.141  0.0846
H 2.756 -0.172 1.943  0.0527
H 3.743 1.097 2.733  0.0851
H 5.735 0.361 1.725  0.1277
H 5.960 -1.899 1.597  0.0777
H 4.257 -2.132 1.194  0.0694
H 5.362 -1.697 -0.062  0.0668
H 4.818 1.825 0.277  0.1230
H 5.285 0.533 -0.779  0.1267
H 2.457 1.128 0.210  0.1241
H 3.596 -1.052 -1.587  0.0927
H 2.571 -1.240 -0.160  0.0753
H 1.887 -0.633 -1.644  0.0442
H 2.970 1.336 -2.667  0.1225
H 4.037 2.349 -1.760  0.1341
H 0.168 3.803 0.116  0.1522
H -3.333 2.543 -0.785  0.1309
H -2.523 3.651 0.278  0.1308
H -2.181 1.959 1.959  0.1172
H -3.864 2.072 1.487  0.1185
H -2.326 -3.153 1.737  0.0325
H -1.183 -2.425 0.566  0.0079
H -2.889 -2.363 0.235  0.0312
H -0.011 0.332 1.474  0.0143
H 0.089 -1.043 2.625  0.0392
H -0.487 0.572 3.135  0.0359
H -3.745 0.079 3.741  0.0259
H -3.987 -1.624 3.385  0.0378
H -2.560 -1.100 4.282  0.0370
H -2.209 -0.328 -1.476  0.1223
H -2.925 0.907 -2.480  0.1443
H 0.141 -3.038 -2.978  0.0940
H -1.486 -2.632 -2.505  0.1024
H -0.082 -2.119 -1.530  0.0660
H 0.190 -0.469 -5.335  0.0877
H 1.415 -1.340 -4.423  0.0871
H 0.063 -2.220 -5.097  0.0977
H 0.780 0.881 -2.827  0.1417
C -3.392 -7.359 2.971  -0.0373
O -2.980 -7.365 4.339  0.0111
C -2.879 -6.160 4.892  -0.6274
O -3.096 -5.110 4.342  0.1053
O -2.499 -6.314 6.156  0.0113
C -2.354 -5.094 6.887  -0.0365
H -3.430 -8.398 2.660  0.0953
H -4.379 -6.912 2.869  0.0977
H -2.672 -6.821 2.356  0.0936
H -3.302 -4.560 6.934  0.0976
H -1.592 -4.464 6.434  0.0944
H -2.045 -5.375 7.889  0.0953
C 6.612 -1.240 -6.681  -0.0285
O 5.496 -0.628 -7.337  0.0158
C 4.789 0.195 -6.576  -0.6260
O 4.995 0.447 -5.415  0.1058
O 3.789 0.690 -7.308  0.0134
C 2.974 1.619 -6.603  -0.0452
H 7.086 -1.877 -7.421  0.0970
H 7.318 -0.485 -6.343  0.0995
H 6.277 -1.844 -5.841  0.0963
H 3.552 2.488 -6.295  0.1006
H 2.527 1.140 -5.730  0.0732
H 2.187 1.936 -7.281  0.0981
C -5.742 3.793 3.707  -0.0315
O -4.586 4.381 3.098  -0.0194
C -4.597 5.716 3.084  -0.6265
O -5.463 6.417 3.525  0.1427
O -3.476 6.131 2.490  -0.0107
>>>



Kislik, L. (2018) How to Tell Your Team That Organizational Change Is Coming. [Online]

-- Quantum chemistry results, kept here for reference --
Entry from the OMol25 dataset: an isolated ion of composition C5H13BBrO2S and charge -1 (ωB97M-V with the def2-TZVPD basis set).

```
! RIJCOSX wB97M-V def2-TZVPD def2/J DEFGRID3
* xyz -1 1
Br -1.23701 -1.99465 -1.27496
S -1.98572 0.87234 0.16861
O -2.74300 1.99455 -0.37630
O -1.17757 1.16596 1.34863
C 1.33784 -0.19549 0.17894
C 2.26456 -1.35043 -0.22843
C 2.10821 0.85012 1.01159
C 0.61719 0.41206 -1.04320
C -3.23033 -0.27911 0.72147
B -0.94164 0.06796 -1.24670
H -2.75692 -1.12806 1.20573
H 2.80679 -1.12345 -1.14800
H 1.79227 1.86427 0.77041
H -1.39660 0.49726 -2.26902
H 0.69366 1.50484 -1.02010
H 1.12137 0.09935 -1.96521
H 1.69063 -2.26252 -0.39955
H 2.98244 -1.56252 0.56858
H -3.79861 -0.59539 -0.14909
H 1.94047 0.70882 2.07933
H -3.84605 0.28644 1.41866
H 3.18298 0.78740 0.81562
H 0.57501 -0.61972 0.83301
*
```

Kohn-Sham gap = 8.544 eV
HOMO energy = -5.25 eV
F_max = 0.52 eV/A
Total energy = -3345.95681 a.u.

Atomic partial charges in e from the Mulliken method, atoms 1 to 8: atom 1 (Br): -0.430, atom 2 (S): 1.052, atom 3 (O): -0.731, atom 4 (O): -0.697, atom 5 (C): 1.595, atom 6 (C): -1.695, atom 7 (C): -1.538, atom 8 (C): -1.334

----------

{
  "formula": "C4H7N",
  "method": "wB97M-V/def2-TZVPD",
  "species": ["C", "C", "C", "N", "H", "H", "H", "C", "H", "H", "H", "H"],
  "positions_angstrom": [[-0.317309, -0.791660, -2.637907], [-0.907125, -0.195085, -1.668107], [-1.324713, 0.292149, -0.544878], [-2.045450, 0.446592, 0.414760], [-0.697240, -0.933031, -3.585156], [0.693103, -1.162987, -2.583442], [-1.454600, 0.361948, 1.305096], [1.233290, 0.375463, 1.819010], [1.617492, 0.189369, 2.840793], [1.046445, -0.577246, 1.331680], [0.216651, 1.044839, 2.096364], [1.939456, 0.949650, 1.211786]],
  "forces_ev_per_angstrom": [[1.833, -0.388, 0.268], [-0.674, 1.563, 1.729], [0.612, -1.931, -2.639], [0.262, 0.738, 3.269], [-1.357, -0.181, -1.894], [0.399, -0.080, 0.432], [-1.171, 0.244, -1.234], [-2.071, 1.699, 1.730], [0.203, 0.014, -0.702], [-0.447, 0.090, 0.007], [2.697, -1.839, -1.272], [-0.285, 0.071, 0.305]],
  "nbo_charge": [-0.33, -0.16, 0.31, -0.57, 0.20, 0.20, 0.37, -0.85, 0.22, 0.22, 0.19, 0.22],
  "smiles": "C=C=C=N.C",
  "de_lowest_kcal_mol": 79.50,
  "gap_ev": 8.9,
  "e_lumo_ev": 0.19
}

---

{
  "formula": "C10H30N10O20",
  "method": "wB97M-V/def2-TZVPD",
  "species": ["C", "N", "O", "O", "H", "H", "H", "C", "N", "O", "O", "H", "H", "H", "C", "N", "O", "O", "H", "H", "H", "C", "N", "O", "O", "H", "H", "H", "C", "N", "O", "O", "H", "H", "H", "C", "N", "O", "O", "H", "H", "H", "C", "N", "O", "O", "H", "H", "H", "C", "N", "O", "O", "H", "H", "H", "C", "N", "O", "O", "H", "H", "H", "C", "N", "O", "O", "H", "H", "H"],

Courtney, F. (2016) 6 steps to effective organizational change management. [Online]